I'm trying to make code in Esp32 that checks if the microSD card is mounted to the module every 5 seconds but it doesn't work. It works only during the first startup of the "setup()" but not in the "loop()" anymore.
I have tried doing the same with Arduino Nano and it works correctly.
I need help to solve this problem.
Resources used:
- SD Module : MicroSD Card Module (https://i0.wp.com/bestengineeringprojects.com/wp-content/uploads/2023/01/micro-sd-card-module.jpg)
- Software: Arduino IDE 2.2.1
- Board manager: esp32 2.0.14
- Selected board: ESP32 Dev Module
Note: I connected the 3V3 pin of the Esp32 directly to the output of the 3.3V regulator of the microSD module since if I connected it to the VCC of the module it did not turn on.
Esp32 code:
//ESP32 Dev Module
#include "FS.h"
#include "SD.h"
#include "SPI.h"
Defaul Pins:
cs = 5
MOSI = 23
MISO = 19
SCLK = 18
const int sck = 14;
const int miso = 12;
const int mosi = 13;
const int cs = 15;
bool detect_sd(){
return false;
return true;
void setup() {
SPI.begin(sck, miso, mosi, cs);
delay (1000);
if(detect_sd() == true){
Serial.println("- Micro SD : Mounted card");
else if(detect_sd() == false){
Serial.println("- Micro SD : Nunmounted card");
void loop() {
if(detect_sd() == true){
Serial.println("- Micro SD : Mounted card");
else if(detect_sd() == false){
Serial.println("- Micro SD : Nunmounted card");
I rebooted the Esp32 without the microSD then inserted it into the module and then removed it and then inserted it again. And I am getting this in Serial, which is NOT CORRECT. I tried with the Esp32's default SPI pins and it doesn't work either.
- Micro SD : Nunmounted card
- Micro SD : Nunmounted card
- Micro SD : Mounted card
- Micro SD : Mounted card
- Micro SD : Mounted card
- Micro SD : Mounted card
- Micro SD : Mounted card
- Micro SD : Mounted card
Arduino Nano Code:
Inserted here: data records:
/*
No. 1
Ti3MoS: optimized geometry, GGA-PBE.

- Crystal system: cubic
- Formation energy (no corrections): 828 meV/atom

Unit cell a=4.749 b=4.749 c=4.749 alpha=90.00 beta=90.00 gamma=90.00
Each line ends with the local moment (μB).
Fractional positions:
Ti 0.000 0.000 0.500  0.41
Ti 0.000 0.500 0.000  0.52
Ti 0.500 0.000 0.000  0.84
S 0.500 0.500 0.500  -0.04
Mo 0.000 0.000 0.000  -0.11

***

No. 2
K2SnHg: optimized geometry, GGA-PBE.

- Crystal system: cubic
- Formation energy: -14 kJ/mol of formula units

Unit cell a=6.020 b=6.020 c=6.020 alpha=60.00 beta=60.00 gamma=60.00
Each line ends with the local moment (μB).
Fractional positions:
Sn 0.000 0.000 0.000  0.62
K 0.250 0.250 0.250  0.03
K 0.750 0.750 0.750  0.03
Hg 0.500 0.500 0.500  0.07

***

No. 3
Tm2MnTc: optimized geometry, GGA-PBE.

- Crystal system: cubic
- Formation energy: 23 kJ/mol of formula units

Unit cell a=4.851 b=4.851 c=4.851 alpha=60.00 beta=60.00 gamma=60.00
Each line ends with the local moment (μB).
Fractional positions:
Tm 0.250 0.250 0.250  -0.06
Tm 0.750 0.750 0.750  -0.06
Tc 0.000 0.000 0.000  0.25
Mn 0.500 0.500 0.500  3.42

* * * * *

# 1
A relaxed LiZr2W crystal. Source: the Alexandria database, functional GGA-PBE.

Calculated values
- formation enthalpy at 0 K (meV/atom) = 347.8
- energy (eV per atom) = -7.643
- M_tot (μB per atom) = 0.000
- density of states at the Fermi level (states/eV per atom) = 0.941
- V (Å³/cell) = 79.8

abc: 11.044 11.044 11.044
angles: 15.12 15.12 15.12
Fractional coordinates of all 4 atoms:
Li1 0.000 0.000 0.000
Zr1 0.247 0.247 0.247
Zr2 0.753 0.753 0.753
W1 0.500 0.500 0.500

---

# 2
A relaxed TiTePdI2 crystal. Source: the Alexandria database, functional GGA-PBE.

Calculated values
- formation energy from raw total energies (eV per atom) = 0.20
- energy (eV per atom) = -3.667
- energy above the lowest structure with this stoichiometry (meV per atom) = 0
- M_tot (μB per atom) = 0.000
- density of states at the Fermi level (states/eV per atom) = 1.752
- V (Å³/cell) = 160.9

abc: 5.507 5.507 5.307
angles: 90.00 90.00 90.00
Fractional coordinates of all 5 atoms:
Ti1 0.000 0.000 0.000
Te1 0.000 0.000 0.500
Pd1 0.500 0.500 0.500
I1 0.000 0.500 0.000
I2 0.500 0.000 0.000

---

# 3
A relaxed PmPOsF crystal. Source: the Alexandria database, functional GGA-PBE.
*/
//Arduino Nano
#include "SD.h"
Defaul Pins:
cs = 10
MOSI = 11
MISO = 12
SCLK = 13
const int cs = 10;
bool detect_sd(){
return false;
return true;
void setup() {
delay (1000);
if(detect_sd() == true){
Serial.println("- Micro SD : Mounted card");
else if(detect_sd() == false){
Serial.println("- Micro SD : Nunmounted card");
void loop() {
if(detect_sd() == true){
Serial.println("- Micro SD : Mounted card");
else if(detect_sd() == false){
Serial.println("- Micro SD : Nunmounted card");
I rebooted the Arduino Nano without the microSD then inserted it into the module and then removed it and then inserted it again. And I get this in the Serial, which is CORRECT.
- Micro SD : Nunmounted card
- Micro SD : Nunmounted card
- Micro SD : Mounted card
- Micro SD : Mounted card
- Micro SD : Nunmounted card
- Micro SD : Nunmounted card
- Micro SD : Mounted card
- Micro SD : Mounted card
Please help!